My love for profanity got me reprimanded in an online scrabble game. Apparently not everyone appreciates the “C” word.
When I need a mental break I hop on an eastern bloc website for a quick scrabble game, and I mean quick, ten minutes max. I lose a lot. I have not retained the knowledge that xu and oi are viable words and I am forever confused about what letters go before and after “y.” My ranking on this site is unimpressively in the 200’s. I tend to get randomly match with anonymous players in the 500’s and consequently I get my butt kicked - not dissimilar from my tennis game lately, but I will save those horror stories for another time and after shock therapy.
My ill-fated match was against “Catfish” who had a ranking of 620. I was outplayed from the start and quickly 40 points behind. Catfish had no pity for me and crushed it by using all his/her/they letters and adding to an “o” to put down “brought” for another 74 points. Pathetically I threw in a hail mary challenge, lost that, and was now desperately behind. But then I saw the “t,” Catfish had left the “t” on the bottom row and set me up to use that “t” in a triple point word, oh happy days! Among my other letters was the ever unpopular “u,” unless of course you have the “q” and can figure out some sort of a word, and a “c” and a “n” …hmmm, cun…and there was the “t”! BAM! (Ok, full disclosure, I did have an “o” and could have put down “count,” but “count” was not speaking to me so I put down my four letters for a solid 24 points.) I was quite pleased with myself.
Catfish went dark. Seconds ticked by. I thought Catfish was scrabble-stumped. Two minutes lapsed and my hopes for winning brightened as I thought Catfish would run out of time. No such luck. Catfish came back and Catfish was pissed! How dare I use that word!? First Catfish expressed hurt feelings, shock, and disbelief – honestly, you would have thought I stole their puppy. Then Catfish went on to lecture me about using obscene words and how I ruined their day and their joy of the game…bla bla bla.
I wanted to scream “for fuck sake Catfish get over it”, but I channeled Dana Santas and did a 15 second cleansing breathing exercise before responding with “sorry, didn’t mean to offend, I didn’t have any other letters”. I was expecting Catfish to be psychic and reply, “liar, liar, pants on fire,” but instead Catfish took another opportunity to give me a sermon on profanity and how it is ruining our culture. I refrained from typing in “seriously, Catfish, lighten up,” and instead suggested we play on. Catfish had less than two minutes left on the clock, I had a robust 4 minutes. I had the “j” and a “s;” but I didn’t stand a chance; Catfish’s anger was focused on the game and I was destroyed.
Inserted here: materials data >
(1)
Simulated powder diffractogram
Compound: Y4Ga5Si2
Radiation: Cu Kα (λ = 1.5418 Å)
Structure: a DFT-relaxed cell (GGA-PBE, Alexandria)
Kinematic intensities with the Lorentz-polarization factor, no thermal factor.

Structural model:
abc: 6.9577 4.2464 7.9293
angles: 90.00 90.69 90.00
Space group P2/m (No. 10)
One atom of each set of equivalent atoms:
Y: 0.2203 0.0000 0.3636 (multiplicity 2)
Y: 0.2432 0.0000 0.8918 (multiplicity 2)
Ga: 0.1272 0.5000 0.6217 (multiplicity 2)
Ga: 0.4451 0.5000 0.1575 (multiplicity 2)
Ga: 0.5000 0.5000 0.5000 (multiplicity 1)
Si: 0.0825 0.5000 0.1292 (multiplicity 2)

Principal peaks in the range 10° ≤ 2θ ≤ 90°, low angle first:
2θ (°), I (rel.), h k l
33.34, 100, 2 1 0
33.61, 50, 1 1 2
36.51, 10, 1 0 3
42.58, 27, 0 2 0
45.05, 11, 3 0 -2
45.56, 14, 3 0 2
45.78, 11, 0 0 4
57.28, 10, 4 1 0
64.12, 10, 3 2 2
72.06, 10, 2 3 0


(2)
Simulated powder diffractogram
Compound: Pm2Pr3Ho3
Radiation: Cu Kα (λ = 1.5418 Å)
Structure: a DFT-relaxed cell (GGA-PBE, Alexandria)
Kinematic intensities with the Lorentz-polarization factor, no thermal factor.

Structural model:
abc: 5.1087 5.1411 20.5350
angles: 90.00 90.00 90.00
Space group Immm (No. 71)
One atom of each set of equivalent atoms:
Pm: 0.0000 0.0000 0.2494 (multiplicity 4)
Pr: 0.0000 0.0000 0.0000 (multiplicity 2)
Pr: 0.0000 0.5000 0.1238 (multiplicity 4)
Ho: 0.0000 0.0000 0.5000 (multiplicity 2)
Ho: 0.0000 0.5000 0.3749 (multiplicity 4)

Principal peaks in the range 10° ≤ 2θ ≤ 90°, low angle first:
2θ (°), I (rel.), h k l
30.19, 100, 1 1 4
34.93, 34, 0 2 0
35.13, 17, 2 0 0
50.23, 12, 0 2 8
50.38, 24, 2 2 0
59.73, 29, 1 3 4
60.00, 14, 3 1 4
62.77, 12, 2 2 8
81.73, 6, 1 3 12
81.97, 12, 3 3 4


(3)
Simulated powder diffractogram
Compound: Ga2H2Cl3
Radiation: Cu Kα (λ = 1.5418 Å)
Structure: a DFT-relaxed cell (GGA-PBE, Alexandria)
Kinematic intensities with the Lorentz-polarization factor, no thermal factor.

Structural model:
abc: 4.3524 5.9649 7.5272
angles: 96.48 90.02 111.03
Space group P-1 (No. 2)
One atom of each set of equivalent atoms:
Ga: 0.0367 0.0757 0.1924 (multiplicity 2)
H: 0.0912 0.1861 0.9306 (multiplicity 2)
Cl: 0.0000 0.0000 0.5000 (multiplicity 1)
Cl: 0.3694 0.7339 0.8030 (multiplicity 2)

Principal peaks in the range 10° ≤ 2θ ≤ 90°, low angle first:
2θ (°), I (rel.), h k l
16.04, 100, 0 1 0
18.78, 51, 0 1 -1
21.12, 32, 0 1 1
21.95, 63, 1 -1 0
23.82, 25, 0 0 2
31.72, 30, 1 1 0
31.92, 32, 1 -2 0
36.04, 33, 0 0 3
37.78, 20, 0 1 -3
41.50, 23, 2 -1 0


(4)
Simulated powder diffractogram
Compound: BaLiAcCu
Radiation: Cu Kα (λ = 1.5418 Å)
Structure: a DFT-relaxed cell (GGA-PBE, Alexandria)
Kinematic intensities with the Lorentz-polarization factor, no thermal factor.

Structural model:
abc: 7.9879 7.9879 7.9879
angles: 90.00 90.00 90.00
Space group F-43m (No. 216)
One atom of each set of equivalent atoms:
Ba: 0.0000 0.0000 0.0000 (multiplicity 4)
Li: 0.2500 0.2500 0.7500 (multiplicity 4)
Ac: 0.0000 0.0000 0.5000 (multiplicity 4)
The materials data stop here >
That was my only game against Catfish. No doubt Catfish blocked me. Have I since used the “c” word? Yes, of course, just not yet in scrabble, I am waiting for that triple word again.
When I need a mental break I hop on an eastern bloc website for a quick scrabble game, and I mean quick, ten minutes max. I lose a lot. I have not retained the knowledge that xu and oi are viable words and I am forever confused about what letters go before and after “y.” My ranking on this site is unimpressively in the 200’s. I tend to get randomly match with anonymous players in the 500’s and consequently I get my butt kicked - not dissimilar from my tennis game lately, but I will save those horror stories for another time and after shock therapy.
My ill-fated match was against “Catfish” who had a ranking of 620. I was outplayed from the start and quickly 40 points behind. Catfish had no pity for me and crushed it by using all his/her/they letters and adding to an “o” to put down “brought” for another 74 points. Pathetically I threw in a hail mary challenge, lost that, and was now desperately behind. But then I saw the “t,” Catfish had left the “t” on the bottom row and set me up to use that “t” in a triple point word, oh happy days! Among my other letters was the ever unpopular “u,” unless of course you have the “q” and can figure out some sort of a word, and a “c” and a “n” …hmmm, cun…and there was the “t”! BAM! (Ok, full disclosure, I did have an “o” and could have put down “count,” but “count” was not speaking to me so I put down my four letters for a solid 24 points.) I was quite pleased with myself.
Catfish went dark. Seconds ticked by. I thought Catfish was scrabble-stumped. Two minutes lapsed and my hopes for winning brightened as I thought Catfish would run out of time. No such luck. Catfish came back and Catfish was pissed! How dare I use that word!? First Catfish expressed hurt feelings, shock, and disbelief – honestly, you would have thought I stole their puppy. Then Catfish went on to lecture me about using obscene words and how I ruined their day and their joy of the game…bla bla bla.
I wanted to scream “for fuck sake Catfish get over it”, but I channeled Dana Santas and did a 15 second cleansing breathing exercise before responding with “sorry, didn’t mean to offend, I didn’t have any other letters”. I was expecting Catfish to be psychic and reply, “liar, liar, pants on fire,” but instead Catfish took another opportunity to give me a sermon on profanity and how it is ruining our culture. I refrained from typing in “seriously, Catfish, lighten up,” and instead suggested we play on. Catfish had less than two minutes left on the clock, I had a robust 4 minutes. I had the “j” and a “s;” but I didn’t stand a chance; Catfish’s anger was focused on the game and I was destroyed.
┌──
Entry 1:
For Dy7HoTh3, the GGA-PBE geometry in Alexandria gives the theoretical XRD peak list in this record (a wavelength of 1.5418 Å).

Main lines, low angle first (2θ from 10° to 90°):
- d = 2.879 Å, 2θ = 31.06°, I 100.0
- d = 2.841 Å, 2θ = 31.49°, I 32.1
- d = 2.485 Å, 2θ = 36.15°, I 67.0
- d = 1.766 Å, 2θ = 51.77°, I 24.3
- d = 1.748 Å, 2θ = 52.32°, I 23.5
- d = 1.505 Å, 2θ = 61.61°, I 14.5
- d = 1.500 Å, 2θ = 61.86°, I 28.5
- d = 1.489 Å, 2θ = 62.36°, I 13.9

Atomic structure:
Lattice parameters (Å, degrees): 7.0639 7.0639 8.5236 90.00 90.00 120.00
Space group P3m1 (No. 156)
Symmetry-distinct sites (fractional):
Dy1 0.0000 0.0000 0.0000
Dy2 0.1654 0.3308 0.3411
Dy3 0.5013 0.0027 0.0035
Ho1 0.6667 0.3333 0.3441
Th1 0.3336 0.1668 0.6720

***

Entry 2:
For B4IrRh6, the GGA-PBE geometry in Alexandria gives the theoretical XRD peak list in this record (a wavelength of 1.5418 Å).

Main lines, low angle first (2θ from 10° to 90°):
- d = 2.773 Å, 2θ = 32.29°, I 21.9
- d = 2.701 Å, 2θ = 33.17°, I 15.7
- d = 2.492 Å, 2θ = 36.04°, I 31.0
- d = 2.442 Å, 2θ = 36.80°, I 30.2
- d = 2.226 Å, 2θ = 40.53°, I 100.0
- d = 1.865 Å, 2θ = 48.82°, I 16.1
- d = 1.684 Å, 2θ = 54.49°, I 14.0
- d = 1.257 Å, 2θ = 75.66°, I 16.1

Atomic structure:
Lattice parameters (Å, degrees): 7.4619 7.4619 5.4012 90.00 90.00 120.00
Space group P6_3mc (No. 186)
Symmetry-distinct sites (fractional):
B1 0.1808 0.3616 0.0000
B2 0.3333 0.6667 0.5302
Ir1 0.3333 0.6667 0.1647
Rh1 0.0781 0.5391 0.7547
Rh2 0.1230 0.2459 0.3706

***

Entry 3:
For Pr12Y7Cd, the GGA-PBE geometry in Alexandria gives the theoretical XRD peak list in this record (a wavelength of 1.5418 Å).

Main lines, low angle first (2θ from 10° to 90°):
- d = 8.290 Å, 2θ = 10.67°, I 25.0
- d = 5.862 Å, 2θ = 15.11°, I 25.7
- d = 3.384 Å, 2θ = 26.33°, I 94.6
- d = 2.931 Å, 2θ = 30.50°, I 100.0
- d = 2.500 Å, 2θ = 35.93°, I 24.6
- d = 2.073 Å, 2θ = 43.67°, I 59.7
- d = 1.767 Å, 2θ = 51.72°, I 22.3
- d = 1.489 Å, 2θ = 62.36°, I 23.5

Atomic structure:
Lattice parameters (Å, degrees): 11.7242 11.7242 11.7242 90.00 90.00 90.00
Space group Im-3 (No. 204)
Symmetry-distinct sites (fractional):
Pr1 0.0000 0.2236 0.2224
Y1 0.0000 0.0000 0.5000
Y2 0.2500 0.2500 0.2500
Cd1 0.0000 0.0000 0.0000

***

Entry 4:
For Pr3HfSb5, the GGA-PBE geometry in Alexandria gives the theoretical XRD peak list in this record (a wavelength of 1.5418 Å).

Main lines, low angle first (2θ from 10° to 90°):
- d = 2.817 Å, 2θ = 31.77°, I 60.7
- d = 2.779 Å, 2θ = 32.21°, I 84.9
- d = 2.632 Å, 2θ = 34.07°, I 100.0
- d = 2.170 Å, 2θ = 41.62°, I 13.7
- d = 1.911 Å, 2θ = 47.59°, I 31.3
- d = 1.745 Å, 2θ = 52.43°, I 16.0
- d = 1.575 Å, 2θ = 58.63°, I 18.7
- d = 1.368 Å, 2θ = 68.60°, I 18.9

Atomic structure:
Lattice parameters (Å, degrees): 9.6262 9.6262 6.2866 90.00 90.00 120.00
Space group P6_3/mcm (No. 193)
Symmetry-distinct sites (fractional):
Pr1 0.0000 0.3808 0.2500
Hf1 0.0000 0.0000 0.0000
Sb1 0.0000 0.2614 0.7500
Sb2 0.3333 0.6667 0.0000

=====

No. 1
└──
The page goes on >
That was my only game against Catfish. No doubt Catfish blocked me. Have I since used the “c” word? Yes, of course, just not yet in scrabble, I am waiting for that triple word again.